Friday, September 09, 2005

Dangerous Laws and Rules

First please refer to the comments given by Shirin to my previous post and my answer there and also to Shirin's latest post.
1. Shirin you have every right to follow your rules. No arguing with that; but the moment you want others to follow you or the moment you keep judging others, not in the privacy of your thoughts, but in the public you need very strong grounds to first base your arguments and then to develop it into a convincing argument. Self-conviction, however enthusiastically presented, does not necessarily breed conviction in others.
2. Did you know your two pet rules can be so vastly used that even a fascist would enjoy to adopt them? Now imagine a racist puts fire to a minority's house. If he is asked: 'would you like the same done to you if you were a minority?' and he says yes, then what would happen? Your second question is even vaguer and more dangerous: how can you be sure if what you do does not 'hurt' anybody? How do you know that your difinition of 'hurting' is the same as others? (For example when you take illigal drugs, however innocent it may seem to you, you are, in effect, hurting billions of people by helping a very big and international illegal trade of drug gangs and drug dealers who take lives, rape women, do whatever it takes to run their filthy business. Are you not hurting others then?) Who is the judge of this hurting? You? What if others feel hurt and you don't? Or what if a rapist thinks the woman is actually enjoying it?
3. Please correct me if I am wrong: you do not live by rules out there, you live by your own rules. You say you may even pull the trigger and mass murder some rapists. (It is really funny: you give yourself the right to kill rapists but feel 'appalled' when rapists are whipped or stoned! I cannot understand the standard.) Well, if law cannot stop you from murdering other people how can you expect X or Y not to pirate a Video or a software for whatever code of rules they may have. What is going on? Is this all the premise you are building your argument on? What kind of world would it be when every body is allowed to play the game with his own set of rules.


Shirin said...

What a convincing argument. I thank you my premenstrual friend for showing me the errors of my ways. But please, as I said before as well, ‘Chill’ I’m worried if you continue like this you will have some sort of heart attack or something and I will never forgive myself if that happens. Hang on a minute, there actually isn’t a law about that, is there? So I shouldn’t really care. Sorry I think I need a bit more practise with the new rules. Well have a nice weekend anyhow. And please take it easy.

Anonymous said...

Hi Shirin, I really do not know what the big deal is. You do not tell me what is wrong with refuting your way of reasoning. You just make things worse like this:
1. Your patronising all-knowing all-honest tone stand in such a bad contrast to your violent menstrual language (please excuse my using it, I learnt it from you and feel not honoured at all at this education.)
2. Irony bites, and it bites hard; but if it does so it must have first hurt the one who uses it. So I am really sorry if I had hurt you. I really am; I did not mean it.
3. Sarcasim, though, usually betrays the user. I am sorry you were forced to use it so abundantly. I really thought I was trying to reason, not to prove you a fool. If you have taken it that way, the fault is not in my intention though it may be in my uneducated language and my plain way of thinking. I am not really that sophisticated.
4. I just wonder why you have taken things so personal. You could reason back. And please you do not worry if I had any heart attack or any thing of that kind that would be first because of hurting a fellow Iranian not being insulted by her. God knows I am telling the truth, more than that I have no more to say.

Shirin said...

Please read the following in a calm and courteous way.
Look I really was not trying to be sarcastic when I made that comment. I did make a joke there but I only did it to make you laugh and I seriously thought that the next time I visited your site, you would have made a joke as well and we would both laugh and that would be the end of it. If I have offended you by calling you premenstrual, then I apologies. It’s just that we use that word a lot, for when someone is feeling emotional. Even my male friends use it and sometimes say, ‘I feel very premenstrual today’ and we all know exactly what they mean by that. But obviously you did not find it funny or appropriate so I’m very sorry. As for you not being all that pleased about learning this word, I just wanted to tell you that this is not a bad or dirty word of any kind and knowing it and knowing what it means is defiantly a good thing.
Now a little something about my post. Now that I think about it, it was wrong of me to put your name on the top like that. I can see how when you saw that you must have thought that everything I had said there was directed toward you, when as a matter of fact it wasn’t at all. The fact of the matter is that, maybe pretty stupidly, but as you may have guessed yourself as well, I am quite proud of my rules and I had wanted to write a little something about them for a long time and when I saw the comment about laws and rules thing (not your thing, I’m talking about the anonymous comment), I thought yes here’s my chance now to write what I wanted to write. The reason I put a link to your blog on the top was purely and simply because you had done it before and I had thought it was a nice thing and so I thought of doing it for you too. But putting your link up there obviously made it look like I was saying all those things to you and criticising you personally.
Now about, ‘You do not tell me what is wrong with refuting your way of reasoning.’ I really don’t know what more I can say about this. I have already said, ‘What a convincing argument.’ But you chose to take that as sarcasm. The truth is that I understand perfectly what you are saying and your argument is very valid and had I been saying that I think everyone should live by my rules, then after reading this, I would turn around to you and say, ‘yes you have a point, I take what I said back.’ But I have never said that I think everyone should do what I do or anything like that, I’m simply saying this is how I live my life and I am happy with it just as I have said I like Baghali-polo or watching movies. In my opinion there was never an argument there even to begin with. It was just me saying how I felt about something and then you explaining your side of things as well and that was that.

Anonymous said...

Let go my friends, don't try to make each other angry. Be mature friends. You are not kids any more I hope.

********
{"formula": "C6H9N", "method": "ωB97M-V/def2-TZVPD", "total_energy_ev": -7854.5862, "e_above_lowest_ev": 3.573, "species": ["C", "N", "C", "C", "C", "C", "C", "H", "H", "H", "H", "H", "H", "H", "H", "H"], "positions_angstrom": [[1.940726, -0.539105, -0.031455], [0.879602, 0.451628, -0.027176], [-0.144919, 0.503761, 1.016200], [-1.035249, 1.377854, -0.188063], [-0.243659, 0.291721, -0.960294], [-1.060114, -0.903249, -0.464952], [-0.986877, -0.768250, 0.861442], [1.596885, -1.582644, -0.103768], [2.580839, -0.316867, -0.893922], [2.560893, -0.436213, 0.867371], [0.225793, 0.696995, 2.042861], [-0.933876, 2.385708, -0.647918], [-2.102554, 1.180074, -0.054248], [0.026751, 0.384360, -2.013552], [-1.749521, -1.472039, -1.074107], [-1.567605, -1.259166, 1.635942]], "atomic_forces_ev_per_a": [[0.05, -0.08, 0.00], [-0.02, -0.02, -0.24], [-0.22, 0.40, -0.03], [0.04, -0.05, 0.37], [-0.11, -0.09, -0.47], [0.05, -0.30, 0.08], [-0.07, -0.06, -0.21], [-0.03, 0.13, 0.07], [-0.08, -0.15, 0.15], [-0.19, 0.04, -0.13], [-0.53, 0.62, -0.62], [0.71, -0.19, 1.20], [0.26, 0.03, -0.15], [-0.33, -0.01, 0.02], [0.25, -0.29, 0.10], [0.23, 0.02, -0.13]], "nbo_charge": [-0.427, -0.425, -0.064, -0.340, -0.122, -0.211, -0.257, 0.180, 0.202, 0.203, 0.212, 0.212, 0.193, 0.206, 0.219, 0.220]}


Record 1
This record from the OMol25 dataset describes a molecular structure, C23H43N2OP3ReSe. The level of theory is ωB97M-V with the def2-TZVPD basis set.

Computed properties:
HOMO energy (spin up / spin down)   -19.5 / -19.5 eV
Total energy   -4589.143507 Eh
Multiplicity   4
<S²>   4.11
ΔE to the lowest compared entry with this formula, charge and spin   0.0 kJ/mol
Largest force on an atom   4.400 eV Å⁻¹
Charge   +4
LUMO energy (spin up / spin down)   -0.52201 / -0.55745 Eh

Positions of all 74 atoms, in Å:
Re1 0.0418 0.0450 0.3697
P1 1.7069 1.2323 -0.8672
P2 -1.1852 1.9724 0.8870
P3 0.9701 -2.0274 -0.3153
H1 -2.6187 -0.1818 -0.2906
C1 -1.8433 -0.9024 -0.0354
C2 -1.5500 -1.1459 1.3620
H2 -2.1757 -0.6353 2.0986
C3 1.3600 1.7052 -2.6207
C4 2.1579 2.8844 -0.2078
C5 3.4036 0.5628 -1.1137
C6 -2.7919 1.8101 1.7651
C7 -0.3795 3.1599 2.0362
C8 -1.6716 2.9994 -0.5612
C9 0.1120 -3.5864 0.1565
C10 2.6325 -2.4744 0.3358
C11 1.1308 -2.2572 -2.1351
H3 -1.7695 -1.7104 -0.7624
H4 -1.2305 -2.1505 1.6519
H5 2.1690 2.3554 -2.9867
H6 0.3997 2.2305 -2.6932
H7 1.2902 0.8079 -3.2485
H8 2.9399 3.3097 -0.8536
H9 2.5547 2.7894 0.8104
H10 1.2986 3.5648 -0.2015
H11 3.9497 1.2830 -1.7418
H12 3.3859 -0.4035 -1.6303
H13 3.9478 0.4536 -0.1682
H14 -3.2821 2.7937 1.7858
H15 -2.6320 1.4879 2.8017
H16 -3.4621 1.0967 1.2747
H17 -0.9053 4.1231 1.9806
H18 0.6753 3.3175 1.7948
H19 -0.4447 2.7799 3.0634
H20 -2.4793 3.6743 -0.2471
H21 -2.0273 2.3574 -1.3798
H22 -0.8231 3.5944 -0.9218
H23 0.6152 -4.4316 -0.3341
H24 -0.9431 -3.5861 -0.1345
H25 0.1796 -3.7327 1.2418
H26 2.9603 -3.4139 -0.1323
H27 2.5716 -2.6251 1.4213
H28 3.3822 -1.7004 0.1479
H29 1.2570 -3.3304 -2.3368
H30 2.0006 -1.7157 -2.5251
H31 0.2289 -1.8930 -2.6512
********

Shirin said...

Anonymous dear, I really don’t know what you are trying to do here. Behrooz and I had a problem. I’ve apologised. It’s all sorted. I don’t understand how you saying ‘don't try to make each other angry’ is going to help anyone here. I’m just worried that it might make Behrooz think that I was trying to make fun of him again or something. So Behrooz please ignore that comment.
Anyway I just came back to say that I have taken your name off from the top of my post and so now it’s just me rambling on about stuff for no reason without being hurtful to anyone I hope:-)
PS You never did tell me what a Griggs store was!

Anonymous said...

Hi Shirin, thank you so much for the comment, I so much needed it. I really had a bad feeling both for myself and for inadvertently hurting you. So all is now sorted. Thanks also for the premenstrual thing; I found it a very strong word and you say it is not. So, that's it. Thanks again.
Sorry anonymous but I did not find your comment: "You are not kids anymore, I hope" a mature one. Neither do I like the patronising tone of it, though you may have had good intetions.

Anonymous said...

Unrelated to this article: records of molecules >
Entry 1:
{"formula": "C25H44Cl3HgN4O3Si", "method": "ωB97M-V/def2-TZVPD", "charge": -1, "orbital_gap_ha": 0.24575, "max_force_ev_per_a": 5.51, "elements": ["C", "C", "H", "H", "H", "C", "C", "H", "H", "H", "H", "Hg", "Cl", "Cl", "C", "O", "N", "C", "C", "H", "H", "H", "H", "H", "H", "H", "H", "H", "C", "C", "N", "H", "C", "O", "H", "H", "H", "H", "O", "C", "C", "C", "H", "C", "H", "C", "H", "C", "C", "H", "H", "H", "Si", "Cl", "C", "C", "C", "H", "H", "H", "H", "H", "H", "H", "H", "H", "C", "C", "C", "C", "N", "N", "C", "H", "H", "H", "H", "H", "H", "H", "H"], "positions_angstrom": [[-0.005, 3.604, 3.467], [0.021, 4.568, 2.310], [0.410, 4.047, 4.388], [0.545, 2.657, 3.310], [-1.037, 3.285, 3.691], [0.652, 5.733, 2.269], [1.572, 6.285, 3.260], [0.469, 6.344, 1.401], [2.320, 5.532, 3.543], [1.010, 6.557, 4.164], [2.058, 7.189, 2.874], [-3.608, 2.598, 1.247], [-4.360, 3.618, -0.823], [-3.698, 1.435, 3.307], [-0.771, -2.285, -3.092], [0.190, -2.082, -2.258], [-0.831, -1.795, -4.340], [0.361, -1.278, -5.033], [-2.135, -1.311, -4.822], [-1.684, -2.824, -2.780], [1.201, -1.952, -4.828], [0.611, -0.254, -4.704], [0.141, -1.268, -6.111], [-2.915, -1.941, -4.373], [-2.171, -1.387, -5.919], [-2.310, -0.253, -4.531], [0.666, -0.940, 3.858], [3.676, -0.647, 3.174], [1.141, -1.928, 3.971], [3.565, -1.712, 3.395], [2.239, -2.160, 3.029], [0.356, -2.686, 3.856], [2.083, -2.650, 1.763], [3.021, -2.640, 0.941], [4.259, -2.284, 2.783], [1.059, -3.073, 1.539], [1.537, -1.983, 4.989], [3.717, -1.905, 4.455], [-1.608, 3.265, 1.395], [-0.881, 4.345, 1.093], [1.242, 4.256, -0.507], [-0.135, 4.408, -0.297], [1.869, 3.881, 0.289], [1.822, 4.528, -1.758], [-1.600, 5.163, 1.003], [-0.919, 4.667, -1.420], [2.885, 4.385, -1.948], [1.021, 4.890, -2.832], [-0.365, 4.949, -2.670], [-2.006, 4.572, -1.278], [1.412, 5.062, -3.830], [-1.037, 5.125, -3.519], [-0.373, -0.559, -0.727], [-0.926, -1.722, 0.810], [1.050, 0.458, 0.510], [-0.229, 0.982, -1.849], [-2.420, -0.270, -0.688], [1.686, 1.098, -0.124], [1.749, -0.148, 1.119], [0.555, 1.204, 1.163], [-2.978, -0.462, 0.279], [-2.795, -1.162, -1.221], [-2.910, 0.625, -1.129], [0.679, 1.515, -1.565], [-1.075, 1.663, -1.636], [-0.129, 0.684, -2.912], [-2.386, -7.251, 0.819], [-1.340, -6.266, 0.429], [-0.259, -6.365, -0.453], [0.486, -5.166, -0.289], [-0.096, -4.386, 0.639], [-1.219, -5.054, 1.022], [1.700, -4.774, -1.006], [-2.779, -7.754, -0.084], [-1.949, -8.029, 1.479], [-3.215, -6.750, 1.354], [-0.024, -7.193, -1.110], [-1.881, -4.633, 1.670], [2.120, -5.656, -1.507], [1.461, -4.007, -1.753], [2.442, -4.332, -0.331]]}

=====

Entry 2:
End of the records of molecules >

Behrooz - Hi buddy :) I'm glad things are clear here. Cheers :)

Privacy said...

You make great pointSS! I think its fascinating to see how the peoples perspective of laws change w/respect to what is accepted socially. (X, or marjuanna is ok, but herion is bad?!!) And of course the argument that "we are not hurting anyone," yet they fail to see the bigger pix (u mentioned).
Death penalty: You know how much $ we could use towards medicine/school instead of keeping those w/life sentences in prison?... Ok- I'll stop here!

Attached: data records:
____________
#a
17
Properties=species:S:1:pos:R:3 method="wB97M-V/def2-TZVPD" homo_energy_ev=-8.108 e_lumo_ha=0.0178 homo_lumo_gap_ev=8.591 charge=0
C -0.655 0.299 -1.272
C -0.894 -0.423 -0.200
C -2.227 -0.237 0.351
C 0.067 -1.218 0.574
C 1.436 -1.196 0.422
S 2.586 -0.149 -0.462
C 1.899 1.475 0.008
H -1.498 0.750 -1.678
H 0.404 0.258 -1.623
H -2.333 0.630 0.946
H -2.531 -1.098 0.964
H -2.933 -0.102 -0.454
H -0.384 -1.967 1.294
H 1.979 -2.101 0.692
H 2.251 1.575 1.034
H 2.074 2.174 -0.687
H 0.759 1.329 0.091

#b
17
Properties=species:S:1:pos:R:3 method="wB97M-V/def2-TZVPD" homo_energy_ev=-8.178 e_lumo_ha=0.0367 smiles="CSC1=CCCC1" homo_lumo_gap_ev=9.178 charge=0
C -1.766 -1.996 -1.383
S -2.196 -0.821 -0.101
C -0.619 0.016 0.122
C 0.335 0.048 -0.763
C 1.611 0.625 -0.034
C 0.974 1.649 0.937
C -0.065 0.689 1.505
H -2.524 -2.550 -1.686
H -1.109 -1.390 -2.106
H -0.910 -2.559 -1.023
H 0.566 -0.316 -1.732
H 2.276 -0.149 0.633
H 2.365 0.961 -0.763
H 1.469 2.170 1.809
H 0.371 2.538 0.396
H 0.240 -0.170 2.213
H -1.015 1.255 1.978

Relative energy table, unit kcal/mol: #a 0.0; #b 5.7

#a
82
Properties=species:S:1:pos:R:3 method="wB97M-V/def2-TZVPD" homo_energy_ev=-13.369 e_lumo_ha=-0.2234 homo_lumo_gap_ev=7.290 charge=+2
Zr 0.532 -1.200 0.649
N -0.199 1.036 4.469
C 0.084 0.096 3.557
S 1.561 0.277 2.624
N -0.738 -0.923 3.508
N -0.532 -1.798 2.476
C -0.955 -2.993 2.620
C -0.755 -3.941 1.520
C -1.035 -5.279 1.655
C -0.767 -6.128 0.586
C -0.216 -5.601 -0.566
C 0.036 -4.245 -0.624
N -0.244 -3.421 0.387
H 0.498 1.712 4.724
H -1.005 0.908 5.058
H -1.407 -3.297 3.554
H -1.445 -5.651 2.586
H -0.987 -7.187 0.659
H 0.004 -6.226 -1.420
H 0.471 -3.797 -1.504
C 0.465 2.597 -6.673
C 0.700 1.746 -5.455
C 0.102 0.484 -5.356
C 0.337 -0.338 -4.274
C 1.194 0.113 -3.272
C 1.793 1.368 -3.329
C 1.534 2.176 -4.423
S 1.389 -0.858 -1.852
O 0.011 -1.326 -1.427
O 2.309 -1.940 -2.027
O 1.784 0.032 -0.698
H -0.599 2.690 -6.892
H 0.934 2.128 -7.543
H 0.890 3.594 -6.559
H -0.554 0.141 -6.151
H -0.138 -1.313 -4.205
H 2.458 1.698 -2.537
H 1.986 3.161 -4.476
O -0.523 0.559 0.627
S -0.785 1.354 -0.704
C -2.586 1.723 -0.634
C -3.357 0.728 0.203
C -4.164 1.196 1.229
C -4.856 0.302 2.042
C -4.722 -1.064 1.844
C -3.910 -1.535 0.818
C -3.237 -0.646 0.000
C -0.007 2.963 -0.348
C -0.749 3.857 0.595
C -1.564 4.877 0.106
C -2.230 5.723 0.982
C -2.085 5.551 2.355
C -1.287 4.525 2.846
C -0.620 3.679 1.969
H -2.918 1.690 -1.675
H -2.674 2.726 -0.227
H -4.262 2.267 1.392
H -5.497 0.676 2.833
H -5.265 -1.760 2.473
H -3.828 -2.601 0.637
H -2.642 -1.022 -0.825
H 0.152 3.420 -1.327
H 0.946 2.634 0.063
H -1.660 5.026 -0.968
H -2.857 6.517 0.597
H -2.582 6.227 3.042
H -1.178 4.389 3.916
H 0.016 2.884 2.347
C 4.415 -2.107 2.716
As 3.808 -1.853 0.937
C 4.716 -3.114 -0.147
C 4.433 -0.103 0.507
O 2.134 -2.288 0.961
H 5.487 -1.929 2.754
H 4.193 -3.122 3.026
H 3.900 -1.401 3.355
H 5.780 -2.901 -0.126
H 4.333 -3.053 -1.158
H 4.521 -4.098 0.264
H 5.470 -0.119 0.835
H 3.873 0.643 1.059
H 4.371 0.085 -0.557

#b
82
____________

Anonymous said...

i'm glad my little comment did what it supposed to do.ofcourse i have and i had good intentions. now you are angery with me and not with each other any more, at least I hope that you're not; and it's ok because after all i'm nobody, i'm anonymous.
i just wanted to bring this to your attention that one should not write to others when she is angry, i'm saying this to myself.Be good guys.